Pocket Watch

The time felt very long for Emelia as for the whole morning she was sitting on the chair doing nothing. She stopped reading books from the library because she didn't want to run out of books to read. A month had already passed since she has arrived in the palace of the Vivan Empire. Every day wasn't a peaceful picture because of a certain person.

"Good morning to you, Princess Emelia," Lady Malith spoke with a hint of mockery. She sure is energetic after being asleep for how many days. But being the typical Emelia, she answered, "Good morning." With two words that were supposed to just a greeting, it felt as if winter was passing by them. Lady Malith cleared her throat, trying to clear the winter away. She asked, "Do you have any plans for today?"

Since the conversation had started, Emelia did not once look at Lady Malith. She knew she was being looked down on by Lady Malith and thought putting a bit of shame in her might change her mind.

[Calculated molecules that have nothing to do with the piece]
# 1
A structure of composition C25H33BN2O6Pd, computed with ωB97M-V/def2-TZVPD.

As for the gap between HOMO and LUMO: 0.1383 Ha. The value obtained for the energy above the lowest of the compared OMol25 structures with the same formula, charge and spin is 10.91 kcal/mol. Its molar mass is 574.78 g mol⁻¹. As for the HOMO energy: 0.2 eV. The net charge is -2.

XYZ file:
```
68
Properties=species:S:1:pos:R:3:forces:R:3
Pd 0.275973 -1.264098 -0.396619 -0.19 -0.24 0.04
C -0.656656 4.564580 2.430634 0.00 0.00 0.00
O 0.625898 4.753994 1.889030 0.01 -0.01 -0.01
C 1.040459 3.833958 0.938922 -0.07 -0.02 0.03
C 2.313664 4.044670 0.415266 0.06 0.00 -0.03
C 2.774419 3.144904 -0.540118 0.00 0.07 0.02
C 2.024126 2.067021 -0.972229 0.08 0.04 -0.21
C 2.589994 1.150719 -2.024772 -0.13 -0.02 -0.16
C 3.226119 -0.113410 -1.525527 -0.01 -0.01 -0.03
O 2.553510 1.426659 -3.212149 0.10 0.04 0.31
C 0.714038 1.843809 -0.457093 -0.04 0.03 0.05
O -0.048823 0.900472 -0.864791 0.08 -0.07 -0.01
C 0.260496 2.773337 0.526241 0.02 0.06 0.01
H -0.808175 5.367810 3.151817 0.00 0.00 0.00
H -0.744031 3.599888 2.940733 0.00 0.00 0.00
H -1.434745 4.619369 1.661802 0.00 0.00 0.00
H 2.906740 4.885251 0.750527 0.00 0.00 0.00
H 3.760415 3.301663 -0.969652 0.00 -0.02 0.00
H 3.942800 0.120859 -0.734733 0.01 -0.01 0.00
H 3.696204 -0.660198 -2.341741 0.03 0.02 -0.02
H 2.446366 -0.754962 -1.070513 -0.03 0.05 0.01
H -0.728073 2.595336 0.926177 0.00 -0.01 0.00
C -3.092238 0.549348 -4.254156 -0.07 -0.03 0.01
N -3.388887 0.375492 -2.847683 -0.02 0.09 -0.01
C -2.704683 -0.738003 -2.189684 0.00 0.01 -0.02
C -3.222842 -0.933746 -0.783145 0.03 0.00 0.00
C -3.177811 0.393754 -0.063003 -0.04 0.00 -0.05
N -3.949241 1.395465 -0.806457 0.10 -0.01 0.07
C -4.137129 2.650869 -0.112599 -0.01 -0.01 0.02
C -3.862171 1.474878 -2.179164 -0.03 -0.06 -0.15
O -4.254219 2.474802 -2.788075 0.00 0.02 0.04
H -3.831631 1.205090 -4.706147 -0.01 -0.02 0.00
H -3.120743 -0.430062 -4.735573 0.00 0.01 -0.01
H -2.101416 0.983934 -4.420296 0.05 -0.02 0.07
H -1.621311 -0.573249 -2.156581 -0.01 0.03 0.01
H -2.880837 -1.636543 -2.789076 0.01 0.02 0.00
H -2.558560 -1.638599 -0.276554 -0.02 -0.02 0.00
H -4.246204 -1.324103 -0.797672 -0.01 0.00 0.00
H -2.132336 0.705151 0.042418 0.00 0.00 0.01
H -3.626916 0.310525 0.930849 0.01 0.00 0.00
H -4.517600 2.440404 0.889623 0.00 0.01 -0.01
H -4.848139 3.270931 -0.651057 0.01 -0.01 -0.01
H -3.195763 3.206630 -0.015242 0.01 0.00 0.00
C 1.141076 -9.485187 -1.673802 0.00 0.00 0.00
C 1.208455 -9.211759 -0.164453 0.00 0.00 0.00
C 0.457351 -10.336472 0.549021 0.00 0.00 0.00
C 2.674950 -9.263250 0.287624 0.00 0.00 0.00
C 0.624256 -7.830537 0.138535 0.00 0.01 -0.01
C -0.463992 -7.645908 0.979930 -0.01 -0.01 0.00
C -0.986508 -6.370002 1.252206 0.00 0.01 0.01
C -0.390564 -5.281669 0.660448 0.01 -0.04 0.01
O -0.687032 -3.979261 0.761657 -0.01 0.02 -0.02
B 0.257617 -3.199936 -0.074619 0.04 0.10 0.02
O 1.114642 -4.260087 -0.648365 0.02 -0.03 0.02
C 0.706750 -5.452791 -0.194490 0.01 0.04 0.01

"In fact, I do not have any plans," Emelia answered, still not meeting her eyes. While Lady Malith was starting to get annoyed with the way Emelia acts. But then, instead of showing or bursting her emotions, she kept it in. She told herself there isn't any point in getting angry with a woman who doesn't have feelings.

"That is boring," Lady Malith said as she used her extravagant looking fan to cover her mouth. But the boring person in this place wasn't Emelia rather Lady Malith. Since the conversation was going nowhere, Emelia asked, "Indeed, why is that Lady Malith ask me these kinds of questions when you know I'm a boring person?" This question took Lady Malith back. It felt like she was slapped but with a question.

Lady Malith closed her fan, lowering her hand, and answered, "I never said you were a boring person. I-I simply just wanted to say there are many things to do in the palace." Emelia gave a sigh out loud and looked at Lady Malith. There were many things she wanted to say to her face, but then she decided not to. "Yes, there are many things to do in the palace. But with the restrictions given, I simply cannot do anything as I wish," Emelia said.

Just because she was allowed to roam around the castle and do what she wanted to do. There are still restrictions placed on her. She wanted to yield the sword, but then she isn't allowed to. Since they think she'll try escaping one day or try killing the Emperor. Well, it wasn't a lie. She would try those two but then if she does it, will it benefit her? The answer is nothing. The void filled in her will just be filled much more.

"If you, please excuse me. I want to continue with my daily walk," Emelia said, then walked past Lady Malith, who still didn't look to be done with what she was supposed to say. She bit her lip in annoyance and huffed as she walked in her own direction.

Lady Malith wished Emelia never came to this palace. Her plans to become the wife of Elliot failed because of Emelia. But because of the accident that happened, Elliot had been seeing her almost every day. She tried doing everything to win his heart, but nothing works, and it's all because of Emelia. Only if she never existed in this world.

"Lady Malith is a respectable lady. However, what she said earlier is too much for me to handle," Vanessa said with her arms crossed like a child. She turned her head, looking at Emelia, who didn't look bothered at then asked, "Aren't you angry at all?"

"Vanessa, there isn't anything we could do to a person who all barks but no bite. Let her bark all she wants since she'll be ashamed of herself for doing so," Emelia answered, but Vanessa couldn't accept what she said.

Sometimes she wonders if there things that bother Emelia. She's like a doll. Someone who doesn't have feelings. It pains Vanessa to see the people talk bad about her when there are so many good sides to her. The money the Emperor gives to Emelia is a lot, and not once she had used it for her personal gain but for others.

It was just recently one of the maids' mother fell sick and didn't have the money to buy the medicine. Upon hearing this, Emelia gave the money to the maid, telling her to use it and not return it. It was a generous amount of money, specifically one bag of gold coins. One bag had around one hundred gold coins. This is enough to open an extravagant looking shop.

Vanessa sighed out loud, wishing that people would see Emelia's good side. Despite lacking the facial expression, she cares very much for every single person. If she were to be a novel's main character, Vanessa was sure the people would love her.

The war ended a month ago, and yet there weren't any celebrations being held in the palace. But with the high demands of the people, Elliot decided to make a three-day celebration because that officials had been busy around and including Elliot.

(Calculated molecules, kept here for reference)
<<<
Record 1
DFT (ωB97M-V/def2-TZVPD) results for a cluster of 2 separate species, C12H9Cl4O5 in total at a distorted geometry.

Geometry as XYZ:
```
30
Properties=species:S:1:pos:R:3:forces:R:3
H -3.359907 0.292066 0.683516 -0.0181 -0.2079 -0.0983
H -3.577444 -0.805409 -0.710537 0.0797 0.0745 0.3186
C 1.430433 0.392608 -3.473507 -0.3639 0.2758 0.3635
C 0.437587 1.227869 2.046712 -0.3427 1.0808 -1.6027
O 0.165232 0.440048 -2.790481 1.2793 -0.0741 -0.8569
C -3.088232 -0.688064 0.266294 -0.6027 -0.3237 0.5187
C 1.750511 -0.690168 2.892946 -0.1712 1.0718 -0.5573
C -1.141078 0.025819 -0.970593 0.5350 -0.0728 -0.2459
O 0.454536 -2.296983 4.106519 0.2857 1.9162 -0.3555
C 0.576915 -1.150484 3.693764 -0.1792 -1.4755 -0.1394
H 0.363793 0.888666 -5.306712 0.1330 0.0355 0.1248
C 0.221037 0.078053 -1.464857 -1.5155 -0.2468 1.2667
Cl 3.094034 1.139988 1.450259 -0.0932 -0.0571 -0.2142
Cl 3.134417 -1.674874 2.959743 0.1923 -0.1700 0.0292
H -1.870636 0.500510 -1.621989 0.0488 -0.1828 0.0917
H 2.077720 0.455886 -5.501335 -0.0001 0.0008 -0.1298
H 0.874590 -0.799204 -5.184924 -0.0279 0.1391 0.0408
C -0.496401 1.034833 3.194378 -0.1856 -1.1054 0.7341
C 1.714521 0.470427 2.186863 0.1382 -1.1696 0.4849
H 2.031013 -0.444701 -3.092866 -0.1330 0.3050 -0.0006
Cl -1.461589 -0.346029 5.293976 -0.1842 -0.0825 0.1008
Cl -1.657278 2.263758 3.454232 -0.0006 -0.0729 -0.1089
C -0.421966 -0.075688 3.972599 -0.1244 1.0224 -0.7050
H 1.970980 1.330275 -3.270643 -0.0151 -0.2430 -0.0266
C 1.162546 0.231440 -4.951639 -0.0336 -0.2014 -0.1739
C -1.589398 -0.757698 0.114606 1.2317 1.2449 -1.4745
H -3.434274 -1.466040 0.947537 -0.0762 -0.0172 0.0239
O -0.829676 -1.402434 0.856677 -0.3866 -0.2831 1.0680
O 1.272401 -0.153795 -0.887454 0.0387 -0.0160 -0.4708
O 0.195613 1.979325 1.106914 0.4916 -1.1649 1.9948
```
Positions in Å, forces in eV/Å.

Properties
HOMO	-0.1268	Eh
E	-72917.5192	eV
LUMO level	1.18	eV
total charge	-1
energy above the lowest of the compared OMol25 structures with the same formula, charge and spin	4.68	kJ/mol
maximum force	2.36	eV/A
Kohn-Sham gap	4.63	eV

Atomic partial charges in e from the Mulliken method, atoms 1 to 6:
1. H 0.22
2. H 0.36
3. C -0.15
4. C 0.38
5. O -0.31
6. C -1.37



Record 2
DFT (ωB97M-V/def2-TZVPD) results for a structure of composition C12H9N4O9Rh.

Geometry as XYZ:
```
35
Properties=species:S:1:pos:R:3:forces:R:3
C -4.070467 -1.140090 -2.676706 -0.0958 -0.0426 -0.0268
N -0.630297 -0.494395 2.925811 0.0999 0.2060 -0.0994
O 3.870377 -1.042810 4.892939 -0.1056 -0.1077 0.0180
H 4.293658 -1.108837 1.028792 -0.0110 0.0070 0.0095
H -2.303641 -0.995645 0.065949 -0.0446 0.0308 -0.0605
C -1.422690 3.960730 -1.967760 -0.0347 -0.1225 -0.0530
Rh -0.016664 -0.025579 -1.851708 0.2058 0.3167 -0.2296
N -2.793459 -0.985619 -3.056188 0.1117 -0.0637 0.0015
C 3.031375 -0.922044 2.752180 0.1689 -0.1066 0.1335
C 2.655262 -0.936525 -0.952455 -0.4289 -0.1814 -0.5513
O 1.662675 -1.028381 -1.850838 0.3233 -0.0851 0.1371
N -1.967590 -0.934919 -1.992845 -0.2089 0.0637 0.0530
>>>

The celebration was supposed to be held a month ago, but then they were worried about some things. Despite the war being over, there still those from the Redodel Empire who seek revenge against them. But he couldn't neglect his people not having a celebration, and that is why Elliot and his trusted servants are planning this celebration more in-depth.

"Your Imperial Majesty, here is the list of those who are still wanted in our list. We were able to catch a few of them, but then they wouldn't speak up to who is their leader," Air reported as he handed the paper to Elliot. His eyes schemed through the pages of the paper and nodded his head after.

"This is what I had feared," Elliot muttered in a low voice as he placed the paper on his desk. "We need to find the leader. If not, the people will be in danger," Elliot continued, and Air nodded his head, agreeing with him. Not only the people will be in danger but also Emelia.

"Do not worry so much, Your Imperial Majesty. Isn't this the reason why you assigned Ayfara to be Princess Emelia's guard?" Air asked, trying to assure him. "You're right," Elliot said as he massaged his temples. "Do you want some tea?" Air asked, and Elliot answered by nodding his head.

Once Elliot was left alone in the room, he took a pocket watch out of his pocket. He turned the watch and traced the words engraved onto the watch. It was engraved, "Time will let you find your light."

"Even if I've kept this since your death. I still don't know what it means," Elliot muttered as he immediately shoved the pocket watch back into his pocket after hearing the door open. He acted normal as if nothing had happened and kept his face straight.